Job.
Could you count the lines further down that contain the word "Li8" and give the number alone?

Contents.
........
# Gd2MgCd (PBE, relaxed)
data_Gd2MgCd
_chemical_formula_sum 'Gd8 Mg4 Cd4'
_cell_length_a 7.541
_cell_length_b 7.541
_cell_length_c 7.541
_cell_angle_alpha 90.00
_cell_angle_beta 90.00
_cell_angle_gamma 90.00
_symmetry_space_group_name_H-M 'F m -3 m'
_symmetry_Int_Tables_number 225
_symmetry_space_group_name_Hall '-F 4 2 3'
loop_
_atom_site_label
_atom_site_fract_x
_atom_site_fract_y
_atom_site_fract_z
Gd1 0.250 0.250 0.250
Mg1 0.000 0.000 0.000
Cd1 0.000 0.000 0.500
# Energy of formation from the pure elements (eV/atom): -0.22


# Li3TiF6 (PBE, relaxed)
data_Li3TiF6
_chemical_formula_sum 'Li36 Ti12 F72'
_cell_length_a 14.665
_cell_length_b 8.901
_cell_length_c 10.290
_cell_angle_alpha 90.00
_cell_angle_beta 96.48
_cell_angle_gamma 90.00
_symmetry_space_group_name_H-M 'C 1 2/c 1'
_symmetry_Int_Tables_number 15
loop_
_symmetry_equiv_pos_as_xyz
'x,y,z'
'-x,-y,-z'
'-x,y,-z+1/2'
'x,-y,z+1/2'
'x+1/2,y+1/2,z'
'-x+1/2,-y+1/2,-z'
'-x+1/2,y+1/2,-z+1/2'
'x+1/2,-y+1/2,z+1/2'
loop_
_atom_site_label
_atom_site_fract_x
_atom_site_fract_y
_atom_site_fract_z
Li1 0.000 0.197 0.250
Li2 0.019 0.348 0.526
Li3 0.140 0.154 0.780
Li4 0.170 0.300 0.048
Li5 0.202 0.143 0.429
Ti1 0.000 0.000 0.000
Ti2 0.162 0.497 0.292
F1 0.072 0.002 0.667
F2 0.073 0.170 0.429
F3 0.076 0.172 0.939
F4 0.079 0.490 0.935
F5 0.091 0.336 0.188
F6 0.100 0.342 0.689
F7 0.231 0.333 0.887
F8 0.239 0.347 0.393
F9 0.247 0.024 0.844
# Energy of formation from the pure elements (eV/atom): -3.35


# Li10CuSi2O10 (PBE, relaxed)
data_Li10CuSi2O10
_chemical_formula_sum 'Li20 Cu2 Si4 O20'
_cell_length_a 5.157
_cell_length_b 6.135
_cell_length_c 15.422
_cell_angle_alpha 78.57
_cell_angle_beta 80.56
_cell_angle_gamma 89.93
_symmetry_space_group_name_H-M 'P 1'
_symmetry_Int_Tables_number 1
loop_
_symmetry_equiv_pos_as_xyz
'x,y,z'
loop_
_atom_site_label
_atom_site_fract_x
_atom_site_fract_y
_atom_site_fract_z
Li1 0.000 0.000 0.000
Li2 0.002 0.575 0.000
Li3 0.024 0.158 0.254
Li4 0.079 0.387 0.805
Li5 0.151 0.705 0.657
Li6 0.155 0.213 0.658
Li7 0.360 0.094 0.875
Li8 0.363 0.603 0.876
Li9 0.435 0.921 0.728
Li10 0.492 0.150 0.279
Li11 0.514 0.733 0.533
Li12 0.515 0.309 0.532
Li13 0.529 0.789 0.996
Li14 0.634 0.438 0.113
Li15 0.638 0.021 0.118
Li16 0.688 0.322 0.919
Li17 0.826 0.987 0.615
Li18 0.877 0.287 0.414
Li19 0.885 0.870 0.420
Li20 0.986 0.518 0.537
Cu1 0.679 0.622 0.342
Cu2 0.840 0.688 0.191
Si1 0.253 0.254 0.064
Si2 0.263 0.053 0.469
Si3 0.627 0.433 0.705
Si4 0.888 0.874 0.828
O1 0.033 0.926 0.721
O2 0.135 0.809 0.525
O3 0.136 0.239 0.527
O4 0.167 0.102 0.370
O5 0.349 0.205 0.163
O6 0.378 0.067 0.007
O7 0.381 0.498 0.007
O8 0.482 0.381 0.812
O9 0.534 0.682 0.656
O10 0.538 0.232 0.656
O11 0.564 0.866 0.841
O12 0.585 0.054 0.467
O13 0.718 0.557 0.461
O14 0.757 0.904 0.264
O15 0.759 0.405 0.268
O16 0.798 0.751 0.072
O17 0.930 0.254 0.066
O18 0.950 0.441 0.692
O19 0.977 0.076 0.877
O20 0.981 0.625 0.877
# Energy of formation from the pure elements (eV/atom): -2.40


# FeOF (GGA+U, optimized geometry)
data_FeOF
_cell_length_a 14.202
_cell_length_b 3.100
_cell_length_c 14.217
_cell_angle_alpha 90.00
_cell_angle_beta 90.01
_cell_angle_gamma 90.00
_space_group_name_H-M_alt 'P 1'
_space_group_IT_number 1
_space_group_name_Hall 'P 1'
loop_
_atom_site_label
_atom_site_type_symbol
_atom_site_fract_x
_atom_site_fract_y
_atom_site_fract_z
Fe1 Fe 0.000 0.000 0.000
Fe2 Fe 0.002 0.000 0.665
Fe3 Fe 0.139 0.500 0.170
Fe4 Fe 0.146 0.500 0.501
Fe5 Fe 0.161 0.500 0.812
Fe6 Fe 0.305 0.000 0.652
Fe7 Fe 0.331 0.000 0.999
Fe8 Fe 0.333 0.000 0.332
Fe9 Fe 0.475 0.500 0.165
Fe10 Fe 0.478 0.500 0.833
Fe11 Fe 0.488 0.500 0.484
Fe12 Fe 0.655 0.000 0.344
Fe13 Fe 0.668 0.000 0.999
Fe14 Fe 0.673 0.000 0.656
Fe15 Fe 0.807 0.500 0.829
Fe16 Fe 0.816 0.500 0.161
Fe17 Fe 0.821 0.500 0.487
Fe18 Fe 0.996 0.000 0.342
O1 O 0.052 0.500 0.733
O2 O 0.054 0.500 0.057
O3 O 0.056 0.500 0.395
O4 O 0.084 0.000 0.228
O5 O 0.089 0.000 0.562
O6 O 0.227 0.000 0.765
O7 O 0.257 0.500 0.589
O8 O 0.382 0.500 0.397
O9 O 0.386 0.500 0.059
........

Outcome.
1